-- To do --
What is needed: start at the top of the notes underneath and echo each line, ending with the one that has "0.3338 0.2306".

-- Contents --
+++
The following is a GGA-PBE calculation of a relaxed structure of SbTe2F6, from Materials Project.

Summary:
Calculated density (g/cm³): 4.392
Total magnetic moment (Bohr magnetons per cell): 0.0
ΔE_f (eV/f.u.): -19.2

abc: 5.8058 8.1872 8.5118
angles: 72.48 76.96 77.65
Last column: nearest neighbours and their distance in Å.
Element x y z (fractional)
F: 0.8056 0.9561 0.6649  1 Sb 1.93
F: 0.1944 0.0439 0.3351  1 Sb 1.93
F: 0.3346 0.0640 0.7663  1 Sb 1.91
F: 0.6775 0.1562 0.8815  1 Sb 1.95
F: 0.8845 0.2904 0.5663  1 Sb 1.92
F: 0.5821 0.6032 0.3190  1 Sb 1.92
F: 0.5427 0.2074 0.4444  1 Sb 1.91
F: 0.4179 0.3968 0.6810  1 Sb 1.92
F: 0.6654 0.9360 0.2337  1 Sb 1.91
F: 0.3225 0.8438 0.1185  1 Sb 1.95
F: 0.1155 0.7096 0.4337  1 Sb 1.92
F: 0.4573 0.7926 0.5556  1 Sb 1.91
Te: 0.0717 0.7300 0.9370  2 Te 2.71-2.72, 2 F 2.80-3.00
Te: 0.8442 0.5568 0.8084  2 Te 2.71-2.72
Te: 0.9283 0.2700 0.0630  2 Te 2.71-2.72, 2 F 2.80-3.00
Te: 0.1558 0.4432 0.1916  2 Te 2.71-2.72
Sb: 0.3930 0.8215 0.3377  6 F 1.91-1.95
Sb: 0.6070 0.1785 0.6623  6 F 1.91-1.95

=====

The following is a GGA-PBE calculation of a relaxed structure of Sb2TeF14, from Materials Project.

Summary:
Calculated density (g/cm³): 3.817
ΔE_f (eV/f.u.): -43.7

abc: 14.5654 7.6111 10.0029
angles: 88.49 90.00 90.00
Last column: nearest neighbours and their distance in Å.
Element x y z (fractional)
F: 0.0229 0.5293 0.1759  1 Sb 1.89
F: 0.3319 0.3649 0.4598  1 Te 1.86
F: 0.1839 0.8315 0.3578  1 Sb 1.91
F: 0.6321 0.2927 0.7656  1 Sb 1.88
F: 0.9526 0.8174 0.6624  1 Sb 1.91
F: 0.9771 0.4707 0.8241  1 Sb 1.89
F: 0.5060 0.1729 0.5761  1 Sb 1.88
F: 0.9018 0.9807 0.4033  1 Sb 1.93
F: 0.1744 0.7133 0.1102  1 Sb 1.89
F: 0.4526 0.1826 0.8376  1 Sb 1.91
F: 0.8161 0.1685 0.6422  1 Sb 1.91
F: 0.6839 0.1685 0.1422  1 Sb 1.91
F: 0.3508 0.0350 0.3512  1 Sb 1.94
F: 0.9768 0.1229 0.7833  2 Sb 2.05-2.08
F: 0.5229 0.4707 0.3241  1 Sb 1.89
F: 0.9940 0.1729 0.0761  1 Sb 1.88
F: 0.1321 0.7073 0.7344  1 Sb 1.88
F: 0.8161 0.5382 0.6830  1 Sb 1.95
F: 0.6681 0.6351 0.5402  1 Te 1.86
F: 0.0232 0.8771 0.2167  2 Sb 2.05-2.08
F: 0.0982 0.0193 0.5967  1 Sb 1.93
F: 0.1681 0.3649 0.9598  1 Te 1.86
F: 0.5232 0.1229 0.2833  2 Sb 2.05-2.08
F: 0.2138 0.1008 0.1207  1 Te 1.88
F: 0.7862 0.8992 0.8793  1 Te 1.88
F: 0.5474 0.8174 0.1624  1 Sb 1.91
F: 0.3282 0.3676 0.0913  1 Te 1.87
F: 0.0386 0.6434 0.4281  1 Sb 1.89
F: 0.5982 0.9807 0.9033  1 Sb 1.93
F: 0.8679 0.2927 0.2656  1 Sb 1.88
F: 0.0060 0.8271 0.9239  1 Sb 1.88
F: 0.6492 0.9650 0.6488  1 Sb 1.94
F: 0.2862 0.1008 0.6207  1 Te 1.88
F: 0.9614 0.3566 0.5719  1 Sb 1.89
F: 0.7138 0.8992 0.3793  1 Te 1.88
F: 0.6839 0.5382 0.1830  1 Sb 1.95
F: 0.4768 0.8771 0.7167  2 Sb 2.05-2.08
F: 0.3679 0.7073 0.2344  1 Sb 1.88
F: 0.8256 0.2867 0.8898  1 Sb 1.89
F: 0.3161 0.4618 0.8170  1 Sb 1.95
F: 0.6744 0.2867 0.3898  1 Sb 1.89
F: 0.1839 0.4618 0.3170  1 Sb 1.95
F: 0.5386 0.3566 0.0719  1 Sb 1.89
F: 0.3256 0.7133 0.6102  1 Sb 1.89
F: 0.4018 0.0193 0.0967  1 Sb 1.93
F: 0.4614 0.6434 0.9281  1 Sb 1.89
F: 0.3161 0.8315 0.8578  1 Sb 1.91
F: 0.8282 0.6324 0.4087  1 Te 1.87
F: 0.0474 0.1826 0.3376  1 Sb 1.91
F: 0.1492 0.0350 0.8512  1 Sb 1.94
F: 0.4771 0.5293 0.6759  1 Sb 1.89
F: 0.6718 0.6324 0.9087  1 Te 1.87
F: 0.8508 0.9650 0.1488  1 Sb 1.94
F: 0.4940 0.8271 0.4239  1 Sb 1.88
F: 0.8319 0.6351 0.0402  1 Te 1.86
F: 0.1718 0.3676 0.5913  1 Te 1.87
Te: 0.2303 0.2169 0.4738  3 F 1.86-1.88
Te: 0.2697 0.2169 0.9738  3 F 1.86-1.88
Te: 0.7303 0.7831 0.0262  3 F 1.86-1.88
Te: 0.7697 0.7831 0.5262  3 F 1.86-1.88
Sb: 0.6083 0.3338 0.2306  6 F 1.89-2.08
Sb: 0.9443 0.0973 0.2414  6 F 1.88-2.05
Sb: 0.4443 0.9027 0.2586  6 F 1.88-2.05
Sb: 0.5557 0.0973 0.7414  6 F 1.88-2.05
Sb: 0.3917 0.6662 0.7694  6 F 1.89-2.08
Sb: 0.1083 0.6662 0.2694  6 F 1.89-2.08
Sb: 0.8917 0.3338 0.7306  6 F 1.89-2.08
Sb: 0.0557 0.9027 0.7586  6 F 1.88-2.05

=====

The following is a GGA-PBE calculation of a relaxed structure of TlSb3F18, from Materials Project.

Summary:
Calculated density (g/cm³): 4.160
+++

-- Completed --
The following is a GGA-PBE calculation of a relaxed structure of SbTe2F6, from Materials Project.

Summary:
Calculated density (g/cm³): 4.392
Total magnetic moment (Bohr magnetons per cell): 0.0
ΔE_f (eV/f.u.): -19.2

abc: 5.8058 8.1872 8.5118
angles: 72.48 76.96 77.65
Last column: nearest neighbours and their distance in Å.
Element x y z (fractional)
F: 0.8056 0.9561 0.6649  1 Sb 1.93
F: 0.1944 0.0439 0.3351  1 Sb 1.93
F: 0.3346 0.0640 0.7663  1 Sb 1.91
F: 0.6775 0.1562 0.8815  1 Sb 1.95
F: 0.8845 0.2904 0.5663  1 Sb 1.92
F: 0.5821 0.6032 0.3190  1 Sb 1.92
F: 0.5427 0.2074 0.4444  1 Sb 1.91
F: 0.4179 0.3968 0.6810  1 Sb 1.92
F: 0.6654 0.9360 0.2337  1 Sb 1.91
F: 0.3225 0.8438 0.1185  1 Sb 1.95
F: 0.1155 0.7096 0.4337  1 Sb 1.92
F: 0.4573 0.7926 0.5556  1 Sb 1.91
Te: 0.0717 0.7300 0.9370  2 Te 2.71-2.72, 2 F 2.80-3.00
Te: 0.8442 0.5568 0.8084  2 Te 2.71-2.72
Te: 0.9283 0.2700 0.0630  2 Te 2.71-2.72, 2 F 2.80-3.00
Te: 0.1558 0.4432 0.1916  2 Te 2.71-2.72
Sb: 0.3930 0.8215 0.3377  6 F 1.91-1.95
Sb: 0.6070 0.1785 0.6623  6 F 1.91-1.95

=====

The following is a GGA-PBE calculation of a relaxed structure of Sb2TeF14, from Materials Project.

Summary:
Calculated density (g/cm³): 3.817
ΔE_f (eV/f.u.): -43.7

abc: 14.5654 7.6111 10.0029
angles: 88.49 90.00 90.00
Last column: nearest neighbours and their distance in Å.
Element x y z (fractional)
F: 0.0229 0.5293 0.1759  1 Sb 1.89
F: 0.3319 0.3649 0.4598  1 Te 1.86
F: 0.1839 0.8315 0.3578  1 Sb 1.91
F: 0.6321 0.2927 0.7656  1 Sb 1.88
F: 0.9526 0.8174 0.6624  1 Sb 1.91
F: 0.9771 0.4707 0.8241  1 Sb 1.89
F: 0.5060 0.1729 0.5761  1 Sb 1.88
F: 0.9018 0.9807 0.4033  1 Sb 1.93
F: 0.1744 0.7133 0.1102  1 Sb 1.89
F: 0.4526 0.1826 0.8376  1 Sb 1.91
F: 0.8161 0.1685 0.6422  1 Sb 1.91
F: 0.6839 0.1685 0.1422  1 Sb 1.91
F: 0.3508 0.0350 0.3512  1 Sb 1.94
F: 0.9768 0.1229 0.7833  2 Sb 2.05-2.08
F: 0.5229 0.4707 0.3241  1 Sb 1.89
F: 0.9940 0.1729 0.0761  1 Sb 1.88
F: 0.1321 0.7073 0.7344  1 Sb 1.88
F: 0.8161 0.5382 0.6830  1 Sb 1.95
F: 0.6681 0.6351 0.5402  1 Te 1.86
F: 0.0232 0.8771 0.2167  2 Sb 2.05-2.08
F: 0.0982 0.0193 0.5967  1 Sb 1.93
F: 0.1681 0.3649 0.9598  1 Te 1.86
F: 0.5232 0.1229 0.2833  2 Sb 2.05-2.08
F: 0.2138 0.1008 0.1207  1 Te 1.88
F: 0.7862 0.8992 0.8793  1 Te 1.88
F: 0.5474 0.8174 0.1624  1 Sb 1.91
F: 0.3282 0.3676 0.0913  1 Te 1.87
F: 0.0386 0.6434 0.4281  1 Sb 1.89
F: 0.5982 0.9807 0.9033  1 Sb 1.93
F: 0.8679 0.2927 0.2656  1 Sb 1.88
F: 0.0060 0.8271 0.9239  1 Sb 1.88
F: 0.6492 0.9650 0.6488  1 Sb 1.94
F: 0.2862 0.1008 0.6207  1 Te 1.88
F: 0.9614 0.3566 0.5719  1 Sb 1.89
F: 0.7138 0.8992 0.3793  1 Te 1.88
F: 0.6839 0.5382 0.1830  1 Sb 1.95
F: 0.4768 0.8771 0.7167  2 Sb 2.05-2.08
F: 0.3679 0.7073 0.2344  1 Sb 1.88
F: 0.8256 0.2867 0.8898  1 Sb 1.89
F: 0.3161 0.4618 0.8170  1 Sb 1.95
F: 0.6744 0.2867 0.3898  1 Sb 1.89
F: 0.1839 0.4618 0.3170  1 Sb 1.95
F: 0.5386 0.3566 0.0719  1 Sb 1.89
F: 0.3256 0.7133 0.6102  1 Sb 1.89
F: 0.4018 0.0193 0.0967  1 Sb 1.93
F: 0.4614 0.6434 0.9281  1 Sb 1.89
F: 0.3161 0.8315 0.8578  1 Sb 1.91
F: 0.8282 0.6324 0.4087  1 Te 1.87
F: 0.0474 0.1826 0.3376  1 Sb 1.91
F: 0.1492 0.0350 0.8512  1 Sb 1.94
F: 0.4771 0.5293 0.6759  1 Sb 1.89
F: 0.6718 0.6324 0.9087  1 Te 1.87
F: 0.8508 0.9650 0.1488  1 Sb 1.94
F: 0.4940 0.8271 0.4239  1 Sb 1.88
F: 0.8319 0.6351 0.0402  1 Te 1.86
F: 0.1718 0.3676 0.5913  1 Te 1.87
Te: 0.2303 0.2169 0.4738  3 F 1.86-1.88
Te: 0.2697 0.2169 0.9738  3 F 1.86-1.88
Te: 0.7303 0.7831 0.0262  3 F 1.86-1.88
Te: 0.7697 0.7831 0.5262  3 F 1.86-1.88
Sb: 0.6083 0.3338 0.2306  6 F 1.89-2.08